[To do]
Give back the whole of the listing further below without altering anything.

[Source]
+++
VASP calculation (GGA-PBE) on a relaxed structure of SrReGe.

Cell lengths 4.6163, 4.6163, 4.6163 Å; angles 60.00, 60.00, 60.00 degrees
Closest atoms and distances in Å follow each position.
Fractional coordinates of all 3 atoms:
Ge 0.0000 0.0000 0.0000  4 Re 2.83, 4 Sr 2.83
Re 0.2500 0.2500 0.2500  4 Ge 2.83
Sr 0.7500 0.7500 0.7500  4 Ge 2.83

Symmetry: F-43m
Energy (eV per atom): -5.387
Polymorph energy (0 for the lowest one) (meV per atom): 0



VASP calculation (GGA-PBE) on a relaxed structure of SrSbAu.

Cell lengths 4.7452, 4.7452, 8.7919 Å; angles 90.00, 90.00, 120.00 degrees
Closest atoms and distances in Å follow each position.
Fractional coordinates of all 6 atoms:
Au 0.3333 0.6667 0.2500  3 Sb 2.74
Au 0.6667 0.3333 0.7500  3 Sb 2.74
Sb 0.6667 0.3333 0.2500  3 Au 2.74
Sb 0.3333 0.6667 0.7500  3 Au 2.74
Sr 0.0000 0.0000 0.0000  6 Au 3.51, 6 Sb 3.51
Sr 0.0000 0.0000 0.5000  6 Sb 3.51, 6 Au 3.51

Symmetry: P6_3/mmc
Energy (eV per atom): -3.920



VASP calculation (GGA-PBE) on a relaxed structure of KPtO3.

Cell lengths 7.3656, 7.3656, 7.3656 Å; angles 60.00, 60.00, 60.00 degrees
Closest atoms and distances in Å follow each position.
Fractional coordinates of all 20 atoms:
K 0.1250 0.1250 0.1250  6 O 2.60
K 0.6250 0.1250 0.1250  6 O 2.60
K 0.1250 0.6250 0.1250  6 O 2.60
K 0.1250 0.1250 0.6250  6 O 2.60
O 0.6992 0.3008 0.3008  2 Pt 2.00
O 0.3008 0.6992 0.3008  2 Pt 2.00
O 0.6992 0.6992 0.3008  2 Pt 2.00
O 0.9492 0.5508 0.5508  2 Pt 2.00
O 0.5508 0.9492 0.5508  2 Pt 2.00
O 0.9492 0.9492 0.5508  2 Pt 2.00
O 0.3008 0.3008 0.6992  2 Pt 2.00
O 0.6992 0.3008 0.6992  2 Pt 2.00
O 0.3008 0.6992 0.6992  2 Pt 2.00
O 0.5508 0.5508 0.9492  2 Pt 2.00
O 0.9492 0.5508 0.9492  2 Pt 2.00
O 0.5508 0.9492 0.9492  2 Pt 2.00
Pt 0.6250 0.6250 0.1250  6 O 2.00
Pt 0.6250 0.1250 0.6250  6 O 2.00
Pt 0.1250 0.6250 0.6250  6 O 2.00
Pt 0.6250 0.6250 0.6250  6 O 2.00

Symmetry: Fd-3m
Energy (eV per atom): -5.198



VASP calculation (GGA-PBE) on a relaxed structure of Y3Ni2Ge3.

Cell lengths 5.5900, 5.5900, 14.1366 Å; angles 90.00, 90.00, 135.76 degrees
Closest atoms and distances in Å follow each position.
Fractional coordinates of all 16 atoms:
Ge 0.1244 0.8756 0.0384  3 Ni 2.42-2.65
Ge 0.8350 0.1650 0.2500  2 Ni 2.53
Ge 0.1244 0.8756 0.4616  3 Ni 2.42-2.65
Ge 0.8756 0.1244 0.5384  3 Ni 2.42-2.65
Ge 0.1650 0.8350 0.7500  2 Ni 2.53
Ge 0.8756 0.1244 0.9616  3 Ni 2.42-2.65
Ni 0.7023 0.2977 0.0999  4 Ge 2.42-2.65
Ni 0.7023 0.2977 0.4001  4 Ge 2.42-2.65
Ni 0.2977 0.7023 0.5999  4 Ge 2.42-2.65
Ni 0.2977 0.7023 0.9001  4 Ge 2.42-2.65
Y 0.4124 0.5876 0.1089  7 Ge 2.99-3.20, 4 Ni 3.00-3.18
Y 0.1333 0.8667 0.2500  5 Ge 2.97-3.09, 4 Ni 3.07
Y 0.4124 0.5876 0.3911  7 Ge 2.99-3.20, 4 Ni 3.00-3.18
Y 0.5876 0.4124 0.6089  7 Ge 2.99-3.20, 4 Ni 3.00-3.18
Y 0.8667 0.1333 0.7500  5 Ge 2.97-3.09, 4 Ni 3.07
Y 0.5876 0.4124 0.8911  7 Ge 2.99-3.20, 4 Ni 3.00-3.18

Symmetry: Cmcm
Energy (eV per atom): -6.383



VASP calculation (GGA-PBE) on a relaxed structure of DyYCu2Pb.

Cell lengths 3.6637, 7.3232, 7.3232 Å; angles 33.62, 90.00, 90.00 degrees
Closest atoms and distances in Å follow each position.
Fractional coordinates of all 5 atoms:
Cu 0.5000 0.2032 0.2032  2 Cu 2.49
Cu 0.5000 0.7960 0.7960  2 Cu 2.49
Dy 0.0000 0.6350 0.6350  6 Cu 2.91-2.96
Pb 0.5000 0.9999 0.9999  2 Cu 2.85-2.86
Y 0.0000 0.3660 0.3660  6 Cu 2.93-2.97

Symmetry: Amm2
Energy (eV per atom): -4.823



VASP calculation (GGA-PBE) on a relaxed structure of ScCdCu4.

Cell lengths 4.9731, 4.9731, 4.9731 Å; angles 60.10, 60.10, 60.10 degrees
Closest atoms and distances in Å follow each position.
Fractional coordinates of all 6 atoms:
Cd 0.0004 0.0004 0.0004  12 Cu 2.91-2.92, 4 Sc 3.05
Cu 0.3746 0.3746 0.3746  6 Cu 2.48-2.49
Cu 0.8753 0.3748 0.3748  6 Cu 2.48-2.49
Cu 0.3748 0.8753 0.3748  6 Cu 2.48-2.49
Cu 0.3748 0.3748 0.8753  6 Cu 2.48-2.49
Sc 0.7501 0.7501 0.7501  12 Cu 2.92, 4 Cd 3.05

Formation enthalpy at 0 K (eV per formula unit): -1.36
Symmetry: R3m
Energy (eV per atom): -3.908
+++

[Outcome]
VASP calculation (GGA-PBE) on a relaxed structure of SrReGe.

Cell lengths 4.6163, 4.6163, 4.6163 Å; angles 60.00, 60.00, 60.00 degrees
Closest atoms and distances in Å follow each position.
Fractional coordinates of all 3 atoms:
Ge 0.0000 0.0000 0.0000  4 Re 2.83, 4 Sr 2.83
Re 0.2500 0.2500 0.2500  4 Ge 2.83
Sr 0.7500 0.7500 0.7500  4 Ge 2.83

Symmetry: F-43m
Energy (eV per atom): -5.387
Polymorph energy (0 for the lowest one) (meV per atom): 0



VASP calculation (GGA-PBE) on a relaxed structure of SrSbAu.

Cell lengths 4.7452, 4.7452, 8.7919 Å; angles 90.00, 90.00, 120.00 degrees
Closest atoms and distances in Å follow each position.
Fractional coordinates of all 6 atoms:
Au 0.3333 0.6667 0.2500  3 Sb 2.74
Au 0.6667 0.3333 0.7500  3 Sb 2.74
Sb 0.6667 0.3333 0.2500  3 Au 2.74
Sb 0.3333 0.6667 0.7500  3 Au 2.74
Sr 0.0000 0.0000 0.0000  6 Au 3.51, 6 Sb 3.51
Sr 0.0000 0.0000 0.5000  6 Sb 3.51, 6 Au 3.51

Symmetry: P6_3/mmc
Energy (eV per atom): -3.920



VASP calculation (GGA-PBE) on a relaxed structure of KPtO3.

Cell lengths 7.3656, 7.3656, 7.3656 Å; angles 60.00, 60.00, 60.00 degrees
Closest atoms and distances in Å follow each position.
Fractional coordinates of all 20 atoms:
K 0.1250 0.1250 0.1250  6 O 2.60
K 0.6250 0.1250 0.1250  6 O 2.60
K 0.1250 0.6250 0.1250  6 O 2.60
K 0.1250 0.1250 0.6250  6 O 2.60
O 0.6992 0.3008 0.3008  2 Pt 2.00
O 0.3008 0.6992 0.3008  2 Pt 2.00
O 0.6992 0.6992 0.3008  2 Pt 2.00
O 0.9492 0.5508 0.5508  2 Pt 2.00
O 0.5508 0.9492 0.5508  2 Pt 2.00
O 0.9492 0.9492 0.5508  2 Pt 2.00
O 0.3008 0.3008 0.6992  2 Pt 2.00
O 0.6992 0.3008 0.6992  2 Pt 2.00
O 0.3008 0.6992 0.6992  2 Pt 2.00
O 0.5508 0.5508 0.9492  2 Pt 2.00
O 0.9492 0.5508 0.9492  2 Pt 2.00
O 0.5508 0.9492 0.9492  2 Pt 2.00
Pt 0.6250 0.6250 0.1250  6 O 2.00
Pt 0.6250 0.1250 0.6250  6 O 2.00
Pt 0.1250 0.6250 0.6250  6 O 2.00
Pt 0.6250 0.6250 0.6250  6 O 2.00

Symmetry: Fd-3m
Energy (eV per atom): -5.198



VASP calculation (GGA-PBE) on a relaxed structure of Y3Ni2Ge3.

Cell lengths 5.5900, 5.5900, 14.1366 Å; angles 90.00, 90.00, 135.76 degrees
Closest atoms and distances in Å follow each position.
Fractional coordinates of all 16 atoms:
Ge 0.1244 0.8756 0.0384  3 Ni 2.42-2.65
Ge 0.8350 0.1650 0.2500  2 Ni 2.53
Ge 0.1244 0.8756 0.4616  3 Ni 2.42-2.65
Ge 0.8756 0.1244 0.5384  3 Ni 2.42-2.65
Ge 0.1650 0.8350 0.7500  2 Ni 2.53
Ge 0.8756 0.1244 0.9616  3 Ni 2.42-2.65
Ni 0.7023 0.2977 0.0999  4 Ge 2.42-2.65
Ni 0.7023 0.2977 0.4001  4 Ge 2.42-2.65
Ni 0.2977 0.7023 0.5999  4 Ge 2.42-2.65
Ni 0.2977 0.7023 0.9001  4 Ge 2.42-2.65
Y 0.4124 0.5876 0.1089  7 Ge 2.99-3.20, 4 Ni 3.00-3.18
Y 0.1333 0.8667 0.2500  5 Ge 2.97-3.09, 4 Ni 3.07
Y 0.4124 0.5876 0.3911  7 Ge 2.99-3.20, 4 Ni 3.00-3.18
Y 0.5876 0.4124 0.6089  7 Ge 2.99-3.20, 4 Ni 3.00-3.18
Y 0.8667 0.1333 0.7500  5 Ge 2.97-3.09, 4 Ni 3.07
Y 0.5876 0.4124 0.8911  7 Ge 2.99-3.20, 4 Ni 3.00-3.18

Symmetry: Cmcm
Energy (eV per atom): -6.383



VASP calculation (GGA-PBE) on a relaxed structure of DyYCu2Pb.

Cell lengths 3.6637, 7.3232, 7.3232 Å; angles 33.62, 90.00, 90.00 degrees
Closest atoms and distances in Å follow each position.
Fractional coordinates of all 5 atoms:
Cu 0.5000 0.2032 0.2032  2 Cu 2.49
Cu 0.5000 0.7960 0.7960  2 Cu 2.49
Dy 0.0000 0.6350 0.6350  6 Cu 2.91-2.96
Pb 0.5000 0.9999 0.9999  2 Cu 2.85-2.86
Y 0.0000 0.3660 0.3660  6 Cu 2.93-2.97

Symmetry: Amm2
Energy (eV per atom): -4.823



VASP calculation (GGA-PBE) on a relaxed structure of ScCdCu4.

Cell lengths 4.9731, 4.9731, 4.9731 Å; angles 60.10, 60.10, 60.10 degrees
Closest atoms and distances in Å follow each position.
Fractional coordinates of all 6 atoms:
Cd 0.0004 0.0004 0.0004  12 Cu 2.91-2.92, 4 Sc 3.05
Cu 0.3746 0.3746 0.3746  6 Cu 2.48-2.49
Cu 0.8753 0.3748 0.3748  6 Cu 2.48-2.49
Cu 0.3748 0.8753 0.3748  6 Cu 2.48-2.49
Cu 0.3748 0.3748 0.8753  6 Cu 2.48-2.49
Sc 0.7501 0.7501 0.7501  12 Cu 2.92, 4 Cd 3.05

Formation enthalpy at 0 K (eV per formula unit): -1.36
Symmetry: R3m
Energy (eV per atom): -3.908